_Contents_
┌──
[1]
The following is a DFT calculation (meta-GGA SCAN) of MgB2H13N3 at its PBEsol-relaxed geometry.

Calculated values
- E: -403.09 eV per cell
- Total magnetization: 0.0 μB/f.u.

Cell lengths 7.8588, 8.9083, 8.4424 Å; angles 90.00, 95.24, 90.00 degrees
Space group P2_1/c (No. 14)
Asymmetric unit:
Mg: 0.2130 0.0652 0.2660
B: 0.1455 0.7375 0.2386
B: 0.2910 0.2245 0.9538
H: 0.0241 0.6556 0.1882
H: 0.0408 0.1068 0.6840
H: 0.0456 0.1396 0.9886
H: 0.1075 0.6497 0.9568
H: 0.1844 0.0062 0.9629
H: 0.2136 0.7207 0.6187
H: 0.2491 0.6591 0.3204
H: 0.2551 0.1475 0.5003
H: 0.2799 0.2214 0.8045
H: 0.4390 0.5744 0.2240
H: 0.4427 0.2016 0.9979
H: 0.4881 0.5749 0.6791
H: 0.4890 0.0786 0.6281
N: 0.0881 0.6268 0.8369
N: 0.1702 0.1076 0.0198
N: 0.4709 0.5098 0.7776


[2]
The following is a DFT calculation (meta-GGA SCAN) of YCu2W at its PBEsol-relaxed geometry.

Calculated values
- E_form: 243 kJ/mol of formula units
- Total magnetization: 0.0 μB/f.u.
- Energy relative to the lowest polymorph listed for this composition: 0.189 eV/atom

Cell lengths 2.8422, 2.8422, 27.4574 Å; angles 90.00, 90.00, 120.00 degrees
Space group R3m (No. 160, hexagonal axes)
Asymmetric unit:
Y: 0.0000 0.0000 0.0000
Cu: 0.0000 0.0000 0.4912
Cu: 0.0000 0.0000 0.7564
W: 0.0000 0.0000 0.2341

=====

TbPr2Lu | Alexandria via LeMat-Bulk | PBE | optimized geometry; total magnetic moment = 0.00 Bohr magnetons per cell; E_form = 0.019 eV per atom; space-group type = P4/mmm
1.0
-1.443 4.013 2.671
0.220 -2.790 4.309
4.917 1.352 0.625
Pr Lu Tb
2 1 1
direct
0.000 0.000 0.500 Pr
0.000 0.500 0.000 Pr
0.500 0.500 0.500 Lu
0.500 0.000 0.000 Tb


TbPr2Lu | Alexandria via LeMat-Bulk | PBE | optimized geometry; total magnetic moment = 0.00 Bohr magnetons per cell; E_form = 0.018 eV per atom; space-group type = R-3m
1.0
3.621 0.000 0.000
1.811 3.136 0.000
1.811 1.045 11.663
Pr Lu Tb
2 1 1
direct
0.751 0.751 0.747 Pr
0.249 0.249 0.253 Pr
0.500 0.500 0.500 Lu
0.000 0.000 0.000 Tb


- E_form of number 2 (TbPr2Lu)?
  0.018 eV per atom


- Which of these has the highest E_form?
  number 1


- Which value of E_form does entry 2 give?
  0.018 eV per atom


- Look up the total magnetic moment of the first one.
  0.00 Bohr magnetons per cell
└──
_To do_
Could you return the lines further above from the one with "P2_1/c (No." to the one with "R-3m" with every line break kept?
_Response_
Space group P2_1/c (No. 14)
Asymmetric unit:
Mg: 0.2130 0.0652 0.2660
B: 0.1455 0.7375 0.2386
B: 0.2910 0.2245 0.9538
H: 0.0241 0.6556 0.1882
H: 0.0408 0.1068 0.6840
H: 0.0456 0.1396 0.9886
H: 0.1075 0.6497 0.9568
H: 0.1844 0.0062 0.9629
H: 0.2136 0.7207 0.6187
H: 0.2491 0.6591 0.3204
H: 0.2551 0.1475 0.5003
H: 0.2799 0.2214 0.8045
H: 0.4390 0.5744 0.2240
H: 0.4427 0.2016 0.9979
H: 0.4881 0.5749 0.6791
H: 0.4890 0.0786 0.6281
N: 0.0881 0.6268 0.8369
N: 0.1702 0.1076 0.0198
N: 0.4709 0.5098 0.7776


[2]
The following is a DFT calculation (meta-GGA SCAN) of YCu2W at its PBEsol-relaxed geometry.

Calculated values
- E_form: 243 kJ/mol of formula units
- Total magnetization: 0.0 μB/f.u.
- Energy relative to the lowest polymorph listed for this composition: 0.189 eV/atom

Cell lengths 2.8422, 2.8422, 27.4574 Å; angles 90.00, 90.00, 120.00 degrees
Space group R3m (No. 160, hexagonal axes)
Asymmetric unit:
Y: 0.0000 0.0000 0.0000
Cu: 0.0000 0.0000 0.4912
Cu: 0.0000 0.0000 0.7564
W: 0.0000 0.0000 0.2341

=====

TbPr2Lu | Alexandria via LeMat-Bulk | PBE | optimized geometry; total magnetic moment = 0.00 Bohr magnetons per cell; E_form = 0.019 eV per atom; space-group type = P4/mmm
1.0
-1.443 4.013 2.671
0.220 -2.790 4.309
4.917 1.352 0.625
Pr Lu Tb
2 1 1
direct
0.000 0.000 0.500 Pr
0.000 0.500 0.000 Pr
0.500 0.500 0.500 Lu
0.500 0.000 0.000 Tb


TbPr2Lu | Alexandria via LeMat-Bulk | PBE | optimized geometry; total magnetic moment = 0.00 Bohr magnetons per cell; E_form = 0.018 eV per atom; space-group type = R-3m